2.4 About OFS Balance Sheet Planning Application Pack

OFS BSP Application Pack includes the following applications:

  • Oracle Financial Services Analytical Applications Infrastructure: Oracle Financial Services Analytical Applications Infrastructure (OFS AAI) powers the Oracle Financial Services Analytical Applications family of products to perform the processing, categorizing, selection, and manipulation of data and information needed to analyze, understand and report on specific performance, risk, compliance and customer insight issues by providing a strong foundation for the entire family of Oracle Financial Services Analytical Applications across the domains of Risk, Performance, Compliance and Customer Insight.
  • Oracle Financial Services Balance Sheet Planning: The Oracle Financial Services Balance Sheet Planning application is a packaged web-based application built on top of Oracle Financial Services Advanced Analytical Applications Infrastructure (OFS AAI). It is designed to enable financial institutions to budget or forecast a full balance sheet and associated interest income and interest expense. The provision of balance sheet and net interest margin planning capability, when combined with OFS AAI functionality for fee and expense planning and process management, results in a complete and comprehensive planning solution for financial institutions. The high-level features of Oracle Financial Services Balance Sheet Planning include:
    • Calculation of future projected cash flows for balance sheet products, including output of comprehensive balance, interest income/expense, and interest rate data elements.
    • The output of cash flow data for the current book of business is separate from future new business volume cash flows, with aggregation to total balance sheet account level.
    • Provision of broad balance sheet product support.
## Misplaced records of molecules
'''
{"formula": "C2H2F4O", "method": "wB97M-V/def2-TZVPD", "elements": ["H", "H", "F", "F", "O", "F", "C", "C", "F"], "xyz": [[-0.43, -0.80, -1.11], [0.61, 1.07, 0.99], [-0.59, 0.21, 2.40], [1.79, -2.83, -0.59], [0.76, -1.61, 0.38], [-1.44, -1.95, 0.19], [-0.38, 0.69, 1.21], [-0.28, -1.37, -0.18], [-1.42, 1.30, 0.71]], "e_homo_ev": [-12.152, -9.183], "e_tot_ha": -551.9068, "de_lowest_ev": 5.6757, "orbital_gap_ha": [0.425, 0.251]}

* * * * *

ORCA calculation (ωB97M-V/def2-TZVPD) on a structure of composition C39H30CoF5N2O4SSb.

Structure (ORCA input):
```
! RIJCOSX wB97M-V def2-TZVPD def2/J DEFGRID3
* xyz 1 5
Co 0.6723 1.1044 0.4424
F -4.4398 0.6863 2.2173
C -3.1223 0.5523 2.4393
C -2.2283 0.9669 1.4657
C -0.8636 0.8319 1.6830
C -0.4135 0.2496 2.8855
C -1.3544 -0.1397 3.8359
F -0.9704 -0.7071 5.0006
C -2.7140 0.0039 3.6399
C 1.0411 0.0195 3.0426
C 1.6826 -0.1808 4.2644
C 3.0466 -0.3833 4.2885
C 3.7671 -0.3734 3.1008
C 3.0763 -0.1353 1.9312
N 1.7549 0.0400 1.8974
H -2.6250 1.4010 0.5588
H -3.4212 -0.3124 4.3907
H 1.1145 -0.1690 5.1772
H 3.5503 -0.5339 5.2311
H 4.8347 -0.5189 3.0818
H 3.5864 -0.0781 0.9778
C -2.0453 7.5149 -0.6826
C -0.9125 6.5390 -0.6456
C -1.0421 5.3157 0.0003
C 0.0008 4.4015 0.0206
C 1.1864 4.7167 -0.6171
C 1.3465 5.9414 -1.2599
C 0.2990 6.8392 -1.2696
S 2.5506 3.6194 -0.6422
O 2.1774 2.4667 0.1795
O 3.7578 4.2875 -0.2817
N 2.7531 3.1395 -2.1785
C 1.6914 2.7237 -3.0837
C 1.6973 1.2268 -3.3586
C 0.9574 0.4075 -2.3221
O 1.0859 -0.8331 -2.3553
O 0.2473 1.0292 -1.4734
H -2.7703 7.3087 0.0999
H -2.5615 7.4593 -1.6418
H -1.6870 8.5351 -0.5622
H -1.9660 5.0742 0.5058
H -0.1232 3.4629 0.5659
H 2.2845 6.1927 -1.7276
H 0.4228 7.7941 -1.7588
H 3.5887 3.5369 -2.5731
H 1.8196 3.2833 -4.0129
H 0.7330 3.0283 -2.6549
H 2.7194 0.8416 -3.3946
H 1.2620 1.0078 -4.3360
F 2.7864 -6.8333 -3.5359
C 2.1993 -5.8110 -2.8966
C 2.4251 -5.6578 -1.5413
C 1.8104 -4.6026 -0.8889
C 0.9877 -3.7228 -1.5858
C 0.7888 -3.9000 -2.9533
C 1.3902 -4.9531 -3.6191
Sb 0.0394 -2.1278 -0.6225
C -0.3675 -2.9274 1.3141
C -1.6795 -3.1944 1.6825
C -1.9526 -3.7642 2.9174
C -0.8985 -4.0311 3.7667
F -1.1562 -4.5673 4.9679
C 0.4154 -3.7471 3.4368
C 0.6737 -3.1835 2.2011
C -1.8487 -2.0838 -1.5191
C -2.4905 -3.2971 -1.7623
C -3.7551 -3.3205 -2.3268
C -4.3556 -2.1140 -2.6368
F -5.5804 -2.1262 -3.1845
C -3.7432 -0.8956 -2.4055
C -2.4797 -0.8874 -1.8390
H 3.0613 -6.3563 -1.0228
H 1.9662 -4.4934 0.1732
H 0.1604 -3.2164 -3.5096
H 1.2465 -5.1158 -4.6752
H -2.5007 -2.9665 1.0161
H -2.9606 -3.9901 3.2270
H 1.2011 -3.9555 4.1453
H 1.6962 -2.9341 1.9471
H -2.0081 -4.2366 -1.5211
H -4.2721 -4.2467 -2.5293
'''
    • Creation of budgets or forecasts in denominated and/or functional currencies.
    • Provision of data entry/driver calculation tools to assist users with driver data generation.
    • Employment of market interest rate based pricing, where new add volumes and repricing balances are priced at spreads to market interest rate indices.
    • Provision of funds transfer pricing capabilities, integrating with and leveraging the existing Oracle Financial Services Funds Transfer Pricing engine. This functionality includes a full set of cash flow and non-cash flow-based Transfer Pricing methodologies, as well as the ability to generate transfer pricing adjustments such as liquidity premiums, pricing incentives, and other adjustments.
~~~
99
Properties=species:S:1:pos:R:3:forces:R:3 method="wB97M-V/def2-TZVPD" s_squared=2.04 max_force_ev_per_a=1.67 gap_ev="4.2938 / 4.4142" homo_energy_ev="-0.518 / -0.639" charge=-2 spin_multiplicity=3 e_above_lowest_kj_mol=64.8 e_tot_ha=-4823.24548
Ti -0.7447 -0.0072 -0.2653 1.099 1.039 -0.700
O -5.0578 1.4415 -3.2278 -0.038 0.062 -0.024
C -5.5412 0.4908 -2.3831 -0.151 -0.008 -0.095
C -6.8349 -0.0024 -2.5379 0.067 0.088 -0.020
C -7.3322 -0.9844 -1.6955 0.024 0.010 0.001
C -6.5258 -1.4863 -0.6870 0.091 0.031 0.017
C -5.2330 -1.0006 -0.5438 -0.104 -0.158 0.106
C -4.7135 -0.0118 -1.3749 0.224 -0.001 0.065
C -3.3260 0.4291 -1.1393 -0.119 -0.373 0.223
O -2.5485 -0.3793 -0.4066 -1.102 -0.404 -0.364
N -2.8378 1.5487 -1.5001 -0.020 0.717 0.216
N -1.5689 1.7067 -0.9739 0.362 -0.695 -0.298
C -1.0395 2.9652 -1.2945 -0.123 -0.359 0.124
C -0.3185 3.7405 -0.4083 0.018 0.254 0.296
C 0.1949 5.0247 -0.8270 -0.011 -0.109 0.015
C 0.8462 5.8269 0.0607 0.031 0.008 0.149
C 1.0187 5.4106 1.4006 -0.042 0.023 -0.114
C 0.5014 4.1673 1.7282 0.004 -0.110 -0.076
N -0.1225 3.3402 0.8950 0.087 0.025 -0.041
H -5.7738 1.7223 -3.8072 0.050 -0.036 -0.019
H -7.4521 0.3929 -3.3398 0.010 0.000 0.002
H -8.3404 -1.3543 -1.8373 0.002 0.005 0.009
H -6.8933 -2.2520 -0.0164 0.014 -0.007 -0.001
H -4.5878 -1.3876 0.2350 -0.001 -0.026 -0.016
H -1.4029 3.4105 -2.2128 0.024 -0.048 -0.067
H 0.0517 5.3308 -1.8584 0.009 0.004 0.013
H 1.2297 6.7906 -0.2630 0.003 -0.008 -0.010
H 1.5275 6.0178 2.1375 -0.004 -0.012 -0.026
H 0.6120 3.7962 2.7496 -0.006 -0.002 -0.085
C 2.3433 1.8393 -0.2956 -0.122 -0.025 -0.139
O 1.3586 0.9278 -0.7949 -0.228 -0.216 0.215
Si 1.4407 0.2657 -2.3629 -0.066 0.133 0.341
C 3.2428 -0.1960 -2.5759 0.262 -0.234 0.087
C 1.2325 1.6596 -3.5626 -0.185 0.265 -0.237
C 0.1346 -0.9845 -2.1612 -0.357 -0.220 -0.240
Si -1.1132 -1.1028 -3.5472 0.164 -0.143 -0.040
C -2.6368 -2.1157 -3.0909 -0.263 0.021 0.154
C -1.6952 0.4943 -4.3256 -0.138 0.323 0.055
C -0.4436 -2.0171 -5.0665 0.155 -0.093 -0.111
Si 0.9237 -2.6742 -1.9043 0.286 0.013 -0.246
C -0.1843 -4.2025 -1.9161 -0.186 -0.097 0.037
C 2.0916 -2.7196 -0.4264 0.044 0.034 0.218
C 2.0812 -3.1291 -3.3619 0.057 -0.018 -0.100
H 3.3110 1.3356 -0.2278 -0.009 -0.012 -0.005
H 2.0413 2.1782 0.6852 -0.074 0.090 0.106
H 2.4234 2.7098 -0.9507 -0.038 0.000 -0.006
H 3.8445 0.6851 -2.3335 -0.007 -0.017 -0.039
H 3.4680 -0.4741 -3.6073 -0.002 0.075 0.013
H 3.5638 -1.0162 -1.9302 0.027 0.061 -0.045
H 2.0884 2.3352 -3.4663 -0.024 0.003 -0.021
H 0.3227 2.2230 -3.3444 0.072 -0.002 -0.025
H 1.1930 1.3023 -4.5964 0.084 0.034 0.051
H -2.7274 -2.2741 -2.0139 -0.021 -0.013 -0.066
H -2.5988 -3.0942 -3.5767 -0.031 0.030 -0.002
H -3.5514 -1.6084 -3.4187 0.069 -0.054 -0.005
H -2.0895 1.2257 -3.6185 0.027 -0.047 -0.078
H -2.5041 0.2384 -5.0209 0.051 0.002 0.029
H -0.8931 0.9636 -4.8952 -0.067 -0.023 -0.077
H -0.3704 -3.0944 -4.8976 -0.005 0.031 -0.032
H 0.5481 -1.6583 -5.3618 -0.067 -0.013 -0.029
H -1.1295 -1.8530 -5.9063 0.020 -0.018 0.058
~~~
    • Provision of two-way integration with the Oracle Financial Services Asset Liability Management application.